htcc- The full scratch implementation of tiny C compiler (x86_64)
The full scratch implementation of tiny C compiler (x86_64). This compiler outputs x86_64 assembly code from "general" C code.
It consists of:
- the lexical analyzer
- the parser that performs parsing with recursive descent and construction of abstract syntax trees (ASTs)
- the method that outputs x86_64 assembly code from ASTs
This compiler is not practical purposes, but focuses on implementation experiments.
For more information, please see the README on GitHub at
- Htcc
- Htcc.Asm The modules of C Rules
- Htcc.Asm.Generate The modules of intrinsic (x86_64) assembly
- Htcc.Asm.Generate.Core The modules of intrinsic (x86_64) assembly
- Htcc.Asm.Intrinsic The modules of intrinsic (x86_64) assembly
- Htcc.Asm.Intrinsic.Operand Types and classes of the x86_64 operands
- Htcc.Asm.Intrinsic.Register Types and classes of the x86_64 registers
- Htcc.Asm.Intrinsic.Structure The modules of intrinsic (x86_64) assembly
- Htcc.Asm.Intrinsic.Structure.Internal The modules of intrinsic (x86_64) assembly
- Section
- Htcc.Asm.Intrinsic.Structure.Section.Data The modules of intrinsic (x86_64) assembly
- Htcc.Asm.Intrinsic.Structure.Section.Text The modules of intrinsic (x86_64) assembly
- Htcc.Asm.Intrinsic.Structure.Section.Text.Directive The modules of intrinsic (x86_64) assembly
- Htcc.Asm.Intrinsic.Structure.Section.Text.Instruction The modules of intrinsic (x86_64) assembly
- Htcc.Asm.Intrinsic.Structure.Section.Text.Operations The modules of intrinsic (x86_64) assembly
- Htcc.Asm.Generate The modules of intrinsic (x86_64) assembly
- Htcc.CRules The modules of C Rules
- Htcc.CRules.Char Characters rules of C language
- Htcc.CRules.LexicalElements LexicalElements of C language
- Htcc.CRules.Preprocessor The rules of preprocessor of C language
- Htcc.CRules.Preprocessor.Core The preprocessor
- Htcc.CRules.Preprocessor.Punctuators The puncuators of preprocessor
- Htcc.CRules.Types The rules of types of C language
/*
1.
Sn5P6O25: simulated X-ray powder pattern (Cu Kα X-rays), based on a crystal structure in Alexandria, relaxed with PBE.

Largest 10 diffraction maxima, in order of rising 2θ, 2θ from 5° to 70°:
Position (°2θ)  Rel. int.
10.00  42
20.61  74
20.85  100
23.17  56
26.43  28
29.49  64
36.40  29
36.53  34
40.14  33
57.16  39

Crystal structure
Cell: 10.1214 10.1214 10.1214 Å, 49.79 49.79 49.79°
Atoms (fractional coordinates):
Sn  0.0000  0.0000  0.0000
Sn  0.1744  0.1744  0.1744
Sn  0.4284  0.4284  0.4284
Sn  0.5716  0.5716  0.5716
Sn  0.8256  0.8256  0.8256
P  0.0638  0.3830  0.8220
P  0.1780  0.9362  0.6170
P  0.3830  0.8220  0.0638
P  0.6170  0.1780  0.9362
P  0.8220  0.0638  0.3830
P  0.9362  0.6170  0.1780
O  0.0414  0.7287  0.0996
O  0.0842  0.4381  0.1401
O  0.0991  0.7864  0.7269
O  0.0996  0.0414  0.7287
O  0.1401  0.0842  0.4381
O  0.1727  0.4326  0.6022
O  0.2136  0.2731  0.9009
O  0.2713  0.9004  0.9586
O  0.2731  0.9009  0.2136
O  0.3978  0.8273  0.5674
O  0.4326  0.6022  0.1727
O  0.4381  0.1401  0.0842
O  0.5000  0.5000  0.5000
O  0.5619  0.8599  0.9158
O  0.5674  0.3978  0.8273
O  0.6022  0.1727  0.4326
O  0.7269  0.0991  0.7864
O  0.7287  0.0996  0.0414
O  0.7864  0.7269  0.0991
O  0.8273  0.5674  0.3978
O  0.8599  0.9158  0.5619
O  0.9004  0.9586  0.2713
O  0.9009  0.2136  0.2731
O  0.9158  0.5619  0.8599
O  0.9586  0.2713  0.9004


2.
Pa2Ge2IrN2: simulated X-ray powder pattern (Cu Kα X-rays), based on a crystal structure in Alexandria, relaxed with PBE.

Largest 10 diffraction maxima, in order of rising 2θ, 2θ from 5° to 70°:
Position (°2θ)  Rel. int.
7.51  100
28.66  34
31.59  60
36.01  44
41.51  16
47.81  14
48.83  26
59.33  10
62.18  14
63.65  12

Crystal structure
Cell: 3.7301 3.7301 11.7716 Å, 90.00 90.00 120.00°
Atoms (fractional coordinates):
Pa  0.3333  0.6667  0.3339
Pa  0.6667  0.3333  0.6661
Ge  0.0000  0.0000  0.1061
Ge  0.0000  0.0000  0.8939
Ir  0.0000  0.0000  0.5000
N  0.3333  0.6667  0.7099
N  0.6667  0.3333  0.2901

----------

1.
Ru4WBr: simulated PXRD pattern (Cu Ka), based on a DFT-relaxed cell (GGA-PBE, Alexandria).
Kinematic intensities with the Lorentz-polarization factor, no thermal factor.

Principal peaks in the range 10° ≤ 2θ ≤ 80°, by angle:
| Position (°2θ) | I_rel | (hkl) |
| --- | --- | --- |
| 21.2 | 6 | 1 1 1 |
| 24.5 | 6 | 2 0 0 |
| 34.9 | 34 | 2 2 0 |
| 41.2 | 100 | 3 1 1 |
| 43.1 | 33 | 2 2 2 |
| 50.2 | 2 | 4 0 0 |
| 56.6 | 3 | 4 2 0 |
| 62.6 | 13 | 4 2 2 |
| 66.9 | 31 | 3 3 3 |
| 73.7 | 25 | 4 4 0 |

Cell and atoms:
```
data_Ru4WBr
_chemical_formula_sum 'Ru16 W4 Br4'
_cell_length_a 7.2709
_cell_length_b 7.2709
_cell_length_c 7.2709
_cell_angle_alpha 90.00
_cell_angle_beta 90.00
_cell_angle_gamma 90.00
_symmetry_space_group_name_H-M 'F -4 3 m'
_symmetry_Int_Tables_number 216
_symmetry_space_group_name_Hall 'F -4 2 3'
loop_
_atom_site_label
_atom_site_fract_x
_atom_site_fract_y
_atom_site_fract_z
Ru1 0.1247 0.1247 0.1247
W1 0.2500 0.2500 0.7500
Br1 0.0000 0.0000 0.5000
```

---

2.
*/
(So much for the data records)
- Htcc.CRules.Types.CType The rules of types of C language
- Htcc.CRules.Types.StorageClass The storage-class of C language
- Htcc.CRules.Types.TypeKind The types of C language
- Htcc.Parser Parsing and constructing AST from string
- Htcc.Parser.AST Data types and type synonyms used during AST construction
- Htcc.Parser.AST.Core The AST data type and its utilities
- Htcc.Parser.AST.DeduceKind Data types and type synonyms used during AST construction
- Htcc.Parser.AST.Type Data types and type synonyms used during AST construction
- Htcc.Parser.AST.Var Data types and type synonyms used during AST construction
- Htcc.Parser.AST.Var.Init The C languge parser and AST constructor
- Htcc.Parser.ConstructionData Data types and type synonyms used during AST construction
- Htcc.Parser.ConstructionData.Core Data types and type synonyms used during AST construction
- Htcc.Parser.ConstructionData.Scope The Data type of scope and its utilities used in parsing
- Htcc.Parser.ConstructionData.Scope.Enumerator The Data type of typedef and its utilities used in parsing
- Htcc.Parser.ConstructionData.Scope.Function The Data type of typedef and its utilities used in parsing
- Htcc.Parser.ConstructionData.Scope.ManagedScope The Data type of typedef and its utilities used in parsing
- Htcc.Parser.ConstructionData.Scope.Tag The Data type of struct and its utilities used in parsing
- Htcc.Parser.ConstructionData.Scope.Typedef The Data type of typedef and its utilities used in parsing
- Htcc.Parser.ConstructionData.Scope.Utils Utilities used to handle scopes
- Htcc.Parser.ConstructionData.Scope.Var The Data type of variables and its utilities used in parsing
- Htcc.Parser.Parsing The main routines for parsing
- Htcc.Parser.Parsing.Core The C languge parser and AST constructor
- Htcc.Parser.Parsing.Global The C languge parser and AST constructor
- Htcc.Parser.Parsing.Global.Function The C languge parser and AST constructor
- Htcc.Parser.Parsing.Global.Var The C languge parser and AST constructor
- Htcc.Parser.Parsing.StmtExpr The C languge parser and AST constructor
- Htcc.Parser.Parsing.Type The C languge parser and AST constructor
- Htcc.Parser.Parsing.Typedef The C languge parser and AST constructor
- Htcc.Parser.Utils Data types and type synonyms used during AST construction
- Htcc.Parser.Utils.Core The AST data type and its utilities
- Htcc.Parser.AST Data types and type synonyms used during AST construction
- Htcc.Tokenizer Tokenizer
- Htcc.Tokenizer.Core Tokenizer
- Htcc.Tokenizer.Token Types used in lexical analysis and their utility functions
- Htcc.Utils Utilities
- Htcc.Utils.Bool Utilities of boolean
- Htcc.Utils.CompilationState Utilities
- Htcc.Utils.List Utilities
- Htcc.Utils.NaturalTransformations Utilities of natural transformations
- Htcc.Utils.Print Utilities
- Htcc.Utils.Text Utilities
- Htcc.Utils.Tuple Utilities
- Htcc.Visualizer Build AST from C source code
- Htcc.Visualizer.Core Build AST from C source code
- Htcc.Asm The modules of C Rules